**File**
____________
# 1
4
Lattice="2.3114 -2.3068 0.0000 2.3114 2.3068 0.0000 -2.0290 0.0000 10.7986" Properties=species:S:1:pos:R:3 comment="TlCdSnSb, relaxed, DFT PBE" total_energy_ev_per_atom=-2.800 polymorph_energy_mev_per_atom=0 formation_energy_uncorrected_ev_per_fu=0.2 pbc="T T T"
Tl 0.0000 0.0000 0.0000
Cd 0.0738 0.0000 5.2706
Sn 2.4380 0.0000 2.9867
Sb 0.2284 0.0000 8.1423

# 2
5
Lattice="5.3903 0.0000 0.0000 0.0000 5.3903 0.0000 0.0000 0.0000 6.0582" Properties=species:S:1:pos:R:3 comment="TlCd2SnSb, relaxed, DFT PBE" total_energy_ev_per_atom=-1.868 formation_energy_uncorrected_ev_per_fu=3.0 pbc="T T T"
Tl 0.0000 0.0000 0.0000
Cd 0.0000 2.6952 0.0000
Cd 2.6952 0.0000 0.0000
Sn 2.6952 2.6952 3.0291
Sb 0.0000 0.0000 3.0291

# 3
4
Lattice="0.0000 3.6640 3.6640 3.6640 0.0000 3.6640 3.6640 3.6640 0.0000" Properties=species:S:1:pos:R:3 comment="ZnCdSnSb, relaxed, DFT PBE" total_energy_ev_per_atom=-2.426 formation_energy_uncorrected_ev_per_fu=0.6 pbc="T T T"
Zn 0.0000 0.0000 0.0000
Cd 5.4960 5.4960 5.4960
Sn 1.8320 1.8320 1.8320
Sb 3.6640 3.6640 3.6640

# 4
3
Lattice="4.8226 0.0000 0.0000 -2.4113 4.1765 0.0000 0.0000 0.0000 4.7473" Properties=species:S:1:pos:R:3 comment="SrCdSb, relaxed, DFT PBE" total_energy_ev_per_atom=-2.806 polymorph_energy_mev_per_atom=109 formation_energy_uncorrected_ev_per_fu=-1.7 pbc="T T T"
Sr 0.0000 0.0000 0.0000
Cd 2.4113 1.3922 1.9379
Sb 0.0000 2.7844 2.6627

# 5
4
Lattice="3.5157 0.0000 0.0000 0.0000 5.7492 0.0000 -0.0015 0.0000 6.0320" Properties=species:S:1:pos:R:3 comment="SrCdSb2, relaxed, DFT PBE" total_energy_ev_per_atom=-3.059 formation_energy_uncorrected_ev_per_fu=-1.4 pbc="T T T"
Sr 0.0000 0.0000 0.0000
Cd 1.7712 2.8746 2.1214
Sb 1.7539 2.8746 5.2035
Sb 1.7602 0.0000 3.0091

# 6
30
Lattice="2.3679 -11.4886 0.0000 2.3679 11.4886 0.0000 0.0000 0.0000 17.4624" Properties=species:S:1:pos:R:3 comment="Sr4Cd5Sb6, relaxed, DFT PBE" total_energy_ev_per_atom=-2.984 formation_energy_uncorrected_ev_per_fu=-8.7 pbc="T T T"
Sr 2.3679 11.2631 8.7312
Sr 2.3679 10.7672 13.6782
Sr 2.3679 7.6672 5.2630
Sr 2.3679 7.4658 16.6286
Sr 2.3679 -7.4658 7.8974
Sr 2.3679 -7.6672 13.9942
Sr 2.3679 -10.7672 4.9470
Sr 2.3679 -11.2631 0.0000
Cd 2.3679 8.2544 11.0646
Cd 2.3679 4.4149 11.0635
Cd 2.3679 4.0295 16.4749
Cd 2.3679 3.5790 4.7869
Cd 2.3679 1.3977 12.2363
Cd 2.3679 -1.3977 3.5050
Cd 2.3679 -3.5790 13.5181
Cd 2.3679 -4.0295 7.7437
Cd 2.3679 -4.4149 2.3322
Cd 2.3679 -8.2544 2.3334
Sb 2.3679 8.9829 2.1433
Sb 2.3679 6.3810 8.8998
Sb 2.3679 6.2140 13.3669
Sb 2.3679 1.9111 7.0994
Sb 2.3679 1.5212 15.1796
Sb 2.3679 1.3866 2.3872
Sb 2.3679 -1.3866 11.1184
Sb 2.3679 -1.5212 6.4484
Sb 2.3679 -1.9111 15.8306
Sb 2.3679 -6.2140 4.6356
Sb 2.3679 -6.3810 0.1686
Sb 2.3679 -8.9829 10.8745
____________

**Assignment**
The reader should transcribe the block further up from the first line to the one with "6.4484" without altering anything.

**Done**
# 1
4
Lattice="2.3114 -2.3068 0.0000 2.3114 2.3068 0.0000 -2.0290 0.0000 10.7986" Properties=species:S:1:pos:R:3 comment="TlCdSnSb, relaxed, DFT PBE" total_energy_ev_per_atom=-2.800 polymorph_energy_mev_per_atom=0 formation_energy_uncorrected_ev_per_fu=0.2 pbc="T T T"
Tl 0.0000 0.0000 0.0000
Cd 0.0738 0.0000 5.2706
Sn 2.4380 0.0000 2.9867
Sb 0.2284 0.0000 8.1423

# 2
5
Lattice="5.3903 0.0000 0.0000 0.0000 5.3903 0.0000 0.0000 0.0000 6.0582" Properties=species:S:1:pos:R:3 comment="TlCd2SnSb, relaxed, DFT PBE" total_energy_ev_per_atom=-1.868 formation_energy_uncorrected_ev_per_fu=3.0 pbc="T T T"
Tl 0.0000 0.0000 0.0000
Cd 0.0000 2.6952 0.0000
Cd 2.6952 0.0000 0.0000
Sn 2.6952 2.6952 3.0291
Sb 0.0000 0.0000 3.0291

# 3
4
Lattice="0.0000 3.6640 3.6640 3.6640 0.0000 3.6640 3.6640 3.6640 0.0000" Properties=species:S:1:pos:R:3 comment="ZnCdSnSb, relaxed, DFT PBE" total_energy_ev_per_atom=-2.426 formation_energy_uncorrected_ev_per_fu=0.6 pbc="T T T"
Zn 0.0000 0.0000 0.0000
Cd 5.4960 5.4960 5.4960
Sn 1.8320 1.8320 1.8320
Sb 3.6640 3.6640 3.6640

# 4
3
Lattice="4.8226 0.0000 0.0000 -2.4113 4.1765 0.0000 0.0000 0.0000 4.7473" Properties=species:S:1:pos:R:3 comment="SrCdSb, relaxed, DFT PBE" total_energy_ev_per_atom=-2.806 polymorph_energy_mev_per_atom=109 formation_energy_uncorrected_ev_per_fu=-1.7 pbc="T T T"
Sr 0.0000 0.0000 0.0000
Cd 2.4113 1.3922 1.9379
Sb 0.0000 2.7844 2.6627

# 5
4
Lattice="3.5157 0.0000 0.0000 0.0000 5.7492 0.0000 -0.0015 0.0000 6.0320" Properties=species:S:1:pos:R:3 comment="SrCdSb2, relaxed, DFT PBE" total_energy_ev_per_atom=-3.059 formation_energy_uncorrected_ev_per_fu=-1.4 pbc="T T T"
Sr 0.0000 0.0000 0.0000
Cd 1.7712 2.8746 2.1214
Sb 1.7539 2.8746 5.2035
Sb 1.7602 0.0000 3.0091

# 6
30
Lattice="2.3679 -11.4886 0.0000 2.3679 11.4886 0.0000 0.0000 0.0000 17.4624" Properties=species:S:1:pos:R:3 comment="Sr4Cd5Sb6, relaxed, DFT PBE" total_energy_ev_per_atom=-2.984 formation_energy_uncorrected_ev_per_fu=-8.7 pbc="T T T"
Sr 2.3679 11.2631 8.7312
Sr 2.3679 10.7672 13.6782
Sr 2.3679 7.6672 5.2630
Sr 2.3679 7.4658 16.6286
Sr 2.3679 -7.4658 7.8974
Sr 2.3679 -7.6672 13.9942
Sr 2.3679 -10.7672 4.9470
Sr 2.3679 -11.2631 0.0000
Cd 2.3679 8.2544 11.0646
Cd 2.3679 4.4149 11.0635
Cd 2.3679 4.0295 16.4749
Cd 2.3679 3.5790 4.7869
Cd 2.3679 1.3977 12.2363
Cd 2.3679 -1.3977 3.5050
Cd 2.3679 -3.5790 13.5181
Cd 2.3679 -4.0295 7.7437
Cd 2.3679 -4.4149 2.3322
Cd 2.3679 -8.2544 2.3334
Sb 2.3679 8.9829 2.1433
Sb 2.3679 6.3810 8.8998
Sb 2.3679 6.2140 13.3669
Sb 2.3679 1.9111 7.0994
Sb 2.3679 1.5212 15.1796
Sb 2.3679 1.3866 2.3872
Sb 2.3679 -1.3866 11.1184
Sb 2.3679 -1.5212 6.4484